Mark Finchem Fires Back Against Arizona’s Fascist Attorney General’s Intimidation Tactic Over County’s Proposed Shift to Paper Ballots

This article originally appeared on and was republished with permission and edited by The Gateway Pundit.

Arizona’s Attorney General who stole her 2022 Election has been caught in a crime.

Attorney General Kris Mayes sent a letter to the Mohave County Board of Supervisors and threatened them with felony crimes if they moved forward with paper ballots in the state. This is a crime on the part of the AG – not the Board of Supervisors she’s targeting.

The Gateway Pundit reported:

**Here the article breaks off for calculated crystals:**
+++
An optimized crystal structure of CaV2InO, computed with PBE with a Hubbard U.

Lattice parameters (Å, degrees): 5.7081 5.7081 4.1207 90.00 90.00 90.00
Last column: nearest neighbours and their distance in Å.
Space group P4/mmm (No. 123)
Asymmetric unit:
1 Ca 0.0000 0.0000 0.0000  2 O 2.06
2 V 0.0000 0.5000 0.0000  2 Ca 2.85
3 In 0.5000 0.5000 0.5000  8 V 3.52
4 O 0.0000 0.0000 0.5000  2 Ca 2.06

Fermi-level density of states = 3.12 states/eV per cell
calculated total energy = -20.6 eV/cell
size of the total moment = 7.82 Bohr magnetons per cell
+++

The Mohave County Board of Supervisors in Arizona is scheduled to vote today on an agenda item to, “approve and direct the Mohave County Elections Department to carry out hand tabulation of ballots for the 2024 elections.”

The agenda item packet includes a letter from Kari Lake attorney Bryan Blehm vowing to defend the decision and cover all legal expenses, a letter from Arizona State Senator Sonny Borrelli, and a notification that the County has received “written commitment” covering the volunteers required to carry this out.

However, Arizona Attorney General Kris Mayes, who stole her election by 280 votes, sent a letter to the Board yesterday, threatening prosecution, “for conducting an illegal hand count” and labeling people advising this hand count as, “bad-faith actors.”

Article 1 Section 4 of the U.S. Constitution gives State Legislatures, not rogue Attorneys General, the power to decide the “Times, Places and Manner of holding elections.”

Kris Mayes is abusing her legal authority to place County Supervisors under duress and force a no-vote. This is election interference.

In a press release by Secretary of State candidate Mark Finchem, he shows that the AG’s actions were not just tyranny. They are “criminal.”

The thuggish abuse of office and overreach of authority by the Arizona Attorney General Kris Mayes, is the substance of tyranny. Never before, as far as we can tell, has an Executive Branch officer, which is what the Attorney General is, threatened the elected representatives of the People with felony prosecution for doing their job. The Mohave County Board of Supervisors is a Legislative Branch office because they pass ordinances (laws) for civil conduct. The AG’s letter threatening to pursue criminal charges against elected officials engaged in due diligence, and in pursuit of compliance with a lawfully passed, Constitutionally based directive is by any measure an abuse of authority.

In a letter to the Mohave County Board of Supervisors, Mayes said if the board moves forward with a hand count, the state will “promptly sue and obtain a court order,” and added the court may hold board members who voted in favor liable for misconduct in the form of “various felony and misdemeanor criminal penalties,” and “subject them to personal liability for any public funds used for this illegal purpose.” This threat of personal injury by the AG is an illegal act. It is a criminal offense to threaten an elected body under color of authority. And, there is a claim for violation of the civil rights of the Supervisors and the People they represent under 42 U.S.C. § 1983.

“What are the Democrat Attorney General and Secretary of State so terrified of? Could it be that the machines do not accurately count votes? We will never know without a full hand count that is done side by side to eh machine count. This would have been the ideal opportunity for government to restore confidence in the elections process, but instead we have witnessed an epic failure,” Mr. Mark Finchem, CEO of the Election Fairness Institute.

Below is Finchem’s press release:

20231122 Press Release by Joe Ho

The post Mark Finchem Fires Back Against Arizona’s Fascist Attorney General’s Intimidation Tactic Over County’s Proposed Shift to Paper Ballots appeared first on The Gateway Pundit.

